10 Steps for a Smooth Employee Performance Management System Implementation

From assessing the needs of your company to gathering data and feedback on progress: how to implement an employee performance management system

To make the most of your employee performance management solutions, you need to make sure they are correctly implemented. Failure to do so can significantly reduce the impact of your processes.

As a report from Deloitte observes:

“The gap between the potential for performance management to build organizational capability and its perceived effectiveness in doing so is enormous. Given that we spend billions of dollars on software, process design, and training, it’s a gap well worth closing. Brandon Hall Group’s research shows a significant difference in impact on customer retention, revenue, and employee engagement between organizations implementing performance management well and all others.”

Let’s take a look at the 10 key steps you need to consider in order to smoothly implement an employee performance management system.

1. Assess your current performance management system

Before implementing a new employee performance management system, you should conduct a thorough assessment of the current systems you have in place. By understanding the pros and cons of your existing performance management practices, you’ll have a much clearer idea of what you require moving forwards.

Consider what tools you currently use for adding and tracking individual and team goals, and whether or not they offer the flexibility and transparency you need. If you aren’t already adding and tracking goals and measuring them as key performance indicators (KPIs) or objectives and key results (OKRs), chances are your performance management system isn’t fit for purpose.

You should also consider how effectively your existing HR administration tools are complementing your approach to performance management. While it’s unlikely your company is still trapped in the world of paper-based HR administration, it may still fall short in terms of processes and integration. 

Finally, you should conduct an assessment of the methods of communication currently being used by employees, and how these can be improved. Have you adopted a hybrid work model? If so, your existing operations would likely benefit greatly from the implementation of multi-channel communications found in the best performance management suites.

2. Canvas feedback from managers, team leaders and employees on their performance management expectations

Once you’ve assessed your existing approaches to performance management, you should canvas feedback from your employees. The experiences of individuals in the various teams and departments within your organization will shed valuable light on how effective your processes are. This will help you to better understand the shortcomings of your current performance management strategy, and how it can be tweaked and improved with a new system.

One effective way to gather this feedback is through employee questionnaires. You can send the same questionnaire template to everyone, or tailor these depending on the roles and responsibilities of different members of staff.

Here are some examples of the kind of questions you should consider asking:

  • Do you consider the current methods of managing performance are effective? If not, explain why these methods aren’t working.
  • Are the current methods of communication between yourself and your colleagues satisfactory? What are your preferred methods of communication?
  • If you work remotely, either part time or full time, are you satisfied with the degree to which you are involved in broader discussions with colleagues?
  • Do you communicate consistently and clearly with your managers and team leaders?
  • Are you clear at all times as to which goals are your main priority?
  • Do you feel appropriately recognized and/or rewarded for good work?
  • Does the company offer the necessary support and training to help you excel in your role?

3. Define the company’s mission and cultural values

We try to have the kind of a culture that doesn’t value excuses in the sense that when you’re supposed to accomplish something, and you’re at a high level, then your job is to accomplish it, in spite of difficulty. And you’re rewarded for dealing with that.

Phil Libin, Co-Founder, former CEO of Evernote

A company’s culture should be an expression of its core values and mission statement. Successful performance management should reflect the essence of these cultural values as frequently as possible.

When implementing an employee performance management system, if you haven’t already carefully articulated your organization’s underpinning culture you should take the time to do so. Broadly speaking, culture reflects a combination of the organization’s principal stretch goal and the values which drive its success.

For example:

Organizational goalCorresponding value
Research and development for a new product lineEmbracing and nurturing innovation
Reducing employee turnover by 20%Encouraging emotional and physical wellbeing
Increasing market shareOptimizing the customer experience
Increase productivity rate by 10%Recognizing and rewarding A-players

By defining and articulating the core aims and values of the company, employees are more likely to remain consistently aligned and motivated towards accomplishing their objectives.


4. Model the behaviours you want from your employees from the top of the organization

The top-down modelling of positive behaviours is a well-established method for improving performance. When implementing a new employee performance management system, business leaders, managers and team leaders should be seen to embrace the new tools and processes. 

As the old adage “show don’t tell” implies, employees are far more likely to follow suit when they witness best practices in action. There are a number of ways managers and team leaders can play this role when implementing a performance management system. For example:

  • Clearly communicate expectations. Individuals and teams work best when they have a clear path to success. Leaders should marshall all available channels of communication to broadcast desired expectations loudly and clearly to relevant employees.
  • Be transparent. When employees understand the leadership process is fair and transparent, higher levels of motivation are experienced and staff feel more thoroughly invested in a given goal or project.
  • Use the available tools consistently. Performance management software delivers a range of tools for tracking goals, scheduling feedback and conducting reviews. Business leaders should encourage management and HR professionals to maximize the utility of such tools on a daily basis.
  • Recognize and reward with regularity. Employees who are recognized for great performance are motivated to continue to deliver their best work. Make rewards and recognition a part of the daily work process to boost morale and drive productivity.

5. Set clear and achievable goals at the individual and team level

Clear and achievable goals can be powerful motivators, giving employees something to focus on and driving better performance. Performance management tools allow managers and team leaders to set goals for both individuals and teams, strengthening peer-to-peer cohesion and encouraging collaboration.

One way to do this is to nest individual goals within broader team goals. You can use the team goals to help bring structure and guidance to each member of the team. This group context can then be used to help individuals craft their own goals in a way that contributes to the overall success of the team.

Managers, team leaders and employees can establish and track these goals through performance management software. This allows for real-time feedback from everyone involved and the ability to correct course at any given moment.

6. Ensure all employees have the means to effectively communicate with each other

The two words ‘information’ and ‘communication’ are often used interchangeably, but they signify quite different things. Information is giving out; communication is getting through.

Sydney J. Harris, Chicago Sun-Times journalist

Effective communication is needed to drive performance across a range of measures. An employee performance management system comes with a selection of communications approaches integrated into the tools, connecting staff wherever they are working. 

This multi-channel communications platform, combining laptop/desktop comms with mobile phone alerts, allows business leaders and managers to:

  • Communicate objectives and goals clearly
  • Deliver real-time feedback on performance 
  • Distribute valuable resources and training material to employees instantly
  • Offer guidance for employees when performance is lapsing
  • Receive feedback from employees about any concerns they may have
  • Coordinate tasks and distribute information across teams and departments

Additionally, performance management software applications allow users to send critical alerts and receive confirmation that they have been read and understood. Problems can be dealt with swiftly as and when they arise, and business leaders can be confident their workforce is kept up to speed.

7. Integrate coaching and development throughout the performance management process

Ongoing coaching begins when a new hire puts together their Personal Development Plan, and continues throughout their time at the company. It should be integrated into their workflow so that it ties directly to their roles and responsibilities, driving continuous growth.

A study from Texas Tech University outlines why managers should make coaching a part of their daily processes:

“A key role of every supervisor is to coach each member of your team to achieve his or her best job performance. In essence, opportunities for coaching your team will occur daily, both formally and informally. By practising this approach, you can create an environment of teamwork and collaboration, recognize effort and celebrate success, and enhance your team’s overall performance.”

Development goals, training resources and access to mentors can all be coordinated through a performance management system so that all learning opportunities can be adopted.

8. Put mechanisms in place which allow for continuous feedback

With an unprecedented number of companies adopting a hybrid work model, old methods of communicating feedback no longer cut it. While managers and team leaders can easily check in with staff when working together on-site, remote workers require digital solutions to make sure these touchpoints are maintained.

Some examples of feedback mechanisms you can use with performance management software include:

  • One2one check-ins. Managers and employees should meet regularly for one2one check-ins. These are great opportunities for managers to check up on an employee’s wellbeing, as well as keep up to date on their overall progress.
  • Intranet and forums. Peer-to-peer feedback and discussion can be facilitated through intranets and forums, creating dedicated spaces to discuss a wide range of topics and offer innovative solutions.
  • Microsoft Teams channels via integration. Many organizations already use MS Teams to help their employees communicate, so if this is the case for you, consider implementing performance management software which allows you to integrate Teams.

9. Review regularly – complement annual appraisals with monthly and quarterly reviews

**The article is interrupted by data records:**
No. 1
Diffraction record for Cs3Mo6P10O38. The powder XRD pattern is calculated, not measured: it uses a GGA+U-relaxed structure and Cu Kα (λ = 1.5418 Å).
No peak broadening, texture or thermal motion is included.

```
data_Cs3Mo6P10O38
_chemical_formula_sum 'Cs3 Mo6 P10 O38'
_cell_length_a 6.5618
_cell_length_b 9.6940
_cell_length_c 14.5501
_cell_angle_alpha 89.87
_cell_angle_beta 88.82
_cell_angle_gamma 74.01
_symmetry_space_group_name_H-M 'P -1'
_symmetry_Int_Tables_number 2
_symmetry_space_group_name_Hall '-P 1'
loop_
_atom_site_label
_atom_site_fract_x
_atom_site_fract_y
_atom_site_fract_z
Cs1 0.0000 0.0000 0.0000
Cs2 0.0416 0.6266 0.7165
Mo1 0.2656 0.6659 0.3885
Mo2 0.2839 0.6319 0.1351
Mo3 0.3802 0.9601 0.7500
P1 0.1565 0.9534 0.2518
P2 0.2605 0.2818 0.8872
P3 0.2855 0.2366 0.5889
P4 0.4891 0.2811 0.0606
P5 0.4918 0.2955 0.4244
O1 0.0248 0.3642 0.8970
O2 0.0549 0.3257 0.5876
O3 0.0704 0.9453 0.7575
O4 0.1747 0.8728 0.3447
O5 0.2112 0.8519 0.1676
O6 0.2586 0.6042 0.2636
O7 0.2937 0.1488 0.8295
O8 0.2982 0.7160 0.5254
O9 0.3001 0.0557 0.2502
O10 0.3248 0.0888 0.6317
O11 0.3317 0.6865 0.9979
O12 0.3377 0.2257 0.9896
O13 0.3449 0.4487 0.4248
O14 0.3472 0.4105 0.1107
O15 0.3628 0.2015 0.4813
O16 0.3884 0.3858 0.8561
O17 0.4153 0.3330 0.6275
O18 0.4217 0.8458 0.8774
O19 0.4647 0.7653 0.6722
```

Principal peaks in the range 15 to 90 degrees two-theta, sorted by position:
d [Å]  Position (°2θ)  I_rel  h k l
4.455  19.9  54  1 -1 1
4.299  20.7  63  0 1 3
4.195  21.2  47  1 2 1
3.918  22.7  43  0 2 2
3.894  22.8  38  -1 1 2
3.811  23.3  51  1 0 -3
3.391  26.3  68  0 1 -4
3.207  27.8  55  2 1 1
3.180  28.1  100  2 1 -1
3.106  28.7  64  0 3 0
2.862  31.3  38  0 2 4
2.779  32.2  46  0 1 -5

=====

No. 2
Diffraction record for CsMoPO6. The powder XRD pattern is calculated, not measured: it uses a GGA+U-relaxed structure and Cu Kα (λ = 1.5418 Å).
No peak broadening, texture or thermal motion is included.

```
data_CsMoPO6
_chemical_formula_sum 'Cs16 Mo16 P16 O96'
_cell_length_a 11.1982
_cell_length_b 12.9852
_cell_length_c 16.3534
_cell_angle_alpha 90.00
_cell_angle_beta 90.00
_cell_angle_gamma 90.00
_symmetry_space_group_name_H-M 'F d d d'
_symmetry_Int_Tables_number 70
loop_
_symmetry_equiv_pos_as_xyz
'x,y,z'
'-x,-y,-z'
'-x+1/4,-y+1/4,z'
'x+1/4,y+1/4,-z'
'x,-y+1/4,-z+1/4'
'-x,y+1/4,z+1/4'
'-x+1/4,y,-z+1/4'
'x+1/4,-y,z+1/4'
'x,y+1/2,z+1/2'
'-x,-y+1/2,-z+1/2'
'-x+1/4,-y+3/4,z+1/2'
'x+1/4,y+3/4,-z+1/2'
'x,-y+3/4,-z+3/4'
'-x,y+3/4,z+3/4'
'-x+1/4,y+1/2,-z+3/4'
'x+1/4,-y+1/2,z+3/4'
'x+1/2,y,z+1/2'
'-x+1/2,-y,-z+1/2'
'-x+3/4,-y+1/4,z+1/2'
'x+3/4,y+1/4,-z+1/2'
'x+1/2,-y+1/4,-z+3/4'
'-x+1/2,y+1/4,z+3/4'
'-x+3/4,y,-z+3/4'
'x+3/4,-y,z+3/4'
'x+1/2,y+1/2,z'
'-x+1/2,-y+1/2,-z'
'-x+3/4,-y+3/4,z'
'x+3/4,y+3/4,-z'
'x+1/2,-y+3/4,-z+1/4'
'-x+1/2,y+3/4,z+1/4'
'-x+3/4,y+1/2,-z+1/4'
'x+3/4,-y+1/2,z+1/4'
loop_
_atom_site_label
_atom_site_fract_x
_atom_site_fract_y
_atom_site_fract_z
Cs1 0.0678 0.3750 0.3750
Mo1 0.1250 0.3414 0.6250
P1 0.1250 0.1250 0.4948
**The article goes on:**

The top-performing companies today no longer rely exclusively on annual appraisals. Instead, they have adopted quarterly or even monthly appraisals in order to minimize the biases inherent in annual reviews and significantly reduce the time and resources spent putting reviews together.

Implementing a performance management system allows you to plan, schedule and conduct regular reviews with ease. By setting up custom templates, managers and HR leaders can save time by automating tailored reviews for a specific scenario. Any data and evidence relevant to the review can also be gathered and sent to the employee to review before the meeting.

10. Gather and assess data across a wide range of performance-related metrics

The collection and analysis of data can help drive the best decisions across a range of metrics. Performance management software allows users to gather data relevant to their objectives, filtering out what matters the most with data analytics tools.

Business leaders can use this data to:

  • Track turnover by level of performance
  • Analyse links between performance, compensation and promotion
  • Diagnose the strengths of the workforce and pinpoint developmental requirements
  • Identify employees with the highest talent potential
  • Evaluate the effectiveness of staffing
  • Measure the effectiveness of managers and team leaders
  • Predict staff turnover and attrition and take action to mitigate 

The more managers are encouraged to make the most of the available data to support their decisions, the more effective the use of this data becomes. Over time, the quality of both the data and the responses to it will continue to improve.

........
This entry pairs a crystal structure of TlCoPbCl6 with its theoretical powder XRD pattern. Radiation: Cu Kα, 1.54184 Å. Structure: a DFT-relaxed cell (GGA-PBE, Alexandria).

Most intense lines, 10 to 80 degrees two-theta, by intensity:
- 19.8°, rel. 100
- 37.3°, rel. 49
- 42.0°, rel. 31
- 25.7°, rel. 28
- 32.7°, rel. 28
- 45.3°, rel. 17
- 57.0°, rel. 13
- 43.1°, rel. 13
- 57.9°, rel. 12
- 60.1°, rel. 11
- 29.0°, rel. 9
- 50.9°, rel. 9

Cell and atoms:
abc: 6.929 6.929 6.717
angles: 90.00 90.00 120.00
Atoms (fractional coordinates):
1 Tl 0.000 0.000 0.000
2 Co 0.667 0.333 0.500
3 Pb 0.333 0.667 0.500
4 Cl 0.390 0.048 0.710
5 Cl 0.390 0.342 0.290
6 Cl 0.658 0.048 0.290
7 Cl 0.658 0.610 0.710
8 Cl 0.952 0.342 0.710
9 Cl 0.952 0.610 0.290

---

This entry pairs a crystal structure of AsPd2RuBr with its theoretical powder XRD pattern. Radiation: Cu Kα, 1.54184 Å. Structure: a DFT-relaxed cell (GGA-PBE, Alexandria).

Most intense lines, 10 to 80 degrees two-theta, by intensity:
- 35.8°, rel. 100
- 32.0°, rel. 88
- 54.4°, rel. 59
- 39.5°, rel. 38
- 51.5°, rel. 35
- 66.9°, rel. 31
- 19.5°, rel. 27
- 62.0°, rel. 26
- 17.7°, rel. 25
- 26.4°, rel. 23
- 41.1°, rel. 15
- 75.9°, rel. 11

Cell and atoms:
abc: 5.015 5.015 4.559
angles: 90.00 90.00 90.00
Atoms (fractional coordinates):
1 As 0.000 0.000 0.000
2 Pd 0.000 0.500 0.500
3 Pd 0.500 0.000 0.500
4 Ru 0.000 0.000 0.500
5 Br 0.500 0.500 0.000

---

This entry pairs a crystal structure of TaV2S6 with its theoretical powder XRD pattern. Radiation: Cu Kα, 1.54184 Å. Structure: a DFT-relaxed cell (GGA-PBE, Alexandria).

Most intense lines, 10 to 80 degrees two-theta, by intensity:
- 13.5°, rel. 100
- 36.5°, rel. 59
- 31.8°, rel. 27
- 48.8°, rel. 16
- 12.0°, rel. 16
- 56.0°, rel. 15
- 12.8°, rel. 13
- 57.9°, rel. 12
- 45.3°, rel. 11
- 39.0°, rel. 7
- 49.0°, rel. 7
- 20.9°, rel. 6

Cell and atoms:
abc: 8.288 8.288 7.582
angles: 113.82 113.82 22.85
Atoms (fractional coordinates):
1 Ta 0.000 0.000 0.000
2 V 0.326 0.326 0.654
3 V 0.674 0.674 0.346
4 S 0.165 0.165 0.107
5 S 0.172 0.172 0.569
6 S 0.491 0.491 0.753
7 S 0.509 0.509 0.247
8 S 0.828 0.828 0.431
9 S 0.835 0.835 0.893

---

This entry pairs a crystal structure of NbGa4Rh5 with its theoretical powder XRD pattern. Radiation: Cu Kα, 1.54184 Å. Structure: a DFT-relaxed cell (GGA-PBE, Alexandria).

Most intense lines, 10 to 80 degrees two-theta, by intensity:
- 41.2°, rel. 100
- 43.0°, rel. 50
- 77.5°, rel. 30
- 62.4°, rel. 16
- 73.7°, rel. 11
- 45.3°, rel. 6
- 56.8°, rel. 6
- 37.5°, rel. 5
- 79.3°, rel. 4
- 30.0°, rel. 3
- 63.0°, rel. 2
- 68.6°, rel. 2

Cell and atoms:
abc: 2.976 2.976 16.221
angles: 90.00 90.00 90.00
Atoms (fractional coordinates):
1 Nb 0.000 0.000 0.000
2 Ga 0.000 0.000 0.211
3 Ga 0.000 0.000 0.404
4 Ga 0.000 0.000 0.596
5 Ga 0.000 0.000 0.789
6 Rh 0.500 0.500 0.119
7 Rh 0.500 0.500 0.311
8 Rh 0.500 0.500 0.500
9 Rh 0.500 0.500 0.689
10 Rh 0.500 0.500 0.881

---
........
[Back to the entry]

Implementing an employee performance management system: FAQs

If you’re still unsure about what a performance management system involves, this FAQ will help to clarify the core concepts:

What are examples of performance management systems?

Performance management software is versatile and can be applied across a range of systems to achieve different outcomes. Creating better alignment between employees and the company, driving higher levels of productivity, and helping individuals and teams meet their goals are a few examples of performance management systems.

What should a performance management system include?

A performance management system comes with a selection of interrelated tools to help you achieve your goals. You can use these to establish and track objectives, maintain continuous feedback with employees, and deliver performance reviews backed up with data.

How do you improve employee performance?

• Attached: data records:
=====
# Zr13In3
Simulated X-ray powder pattern, a wavelength of 1.5418 Å. Input: the PBE geometry in Alexandria.
No peak broadening, texture or thermal motion is included.

Main lines, low angle first (15 to 90 degrees two-theta):
2.598 Å, intensity 100, (2 2 2)
2.317 Å, intensity 18, (0 0 4)
2.297 Å, intensity 17, (0 4 0)
2.147 Å, intensity 14, (4 0 0)
1.631 Å, intensity 12, (0 4 4)
1.575 Å, intensity 10, (4 0 4)
1.386 Å, intensity 13, (2 2 6)
1.377 Å, intensity 13, (2 6 2)
1.311 Å, intensity 11, (6 2 2)
1.299 Å, intensity 11, (4 4 4)

Structure:
```
data_Zr13In3
_chemical_formula_sum 'Zr26 In6'
_symmetry_space_group_name_H-M 'A m m 2'
_symmetry_Int_Tables_number 38
_symmetry_space_group_name_Hall 'A 2 -2'
_cell_length_a 8.586
_cell_length_b 9.189
_cell_length_c 9.268
_cell_angle_alpha 90.00
_cell_angle_beta 90.00
_cell_angle_gamma 90.00
loop_
_atom_site_label
_atom_site_fract_x
_atom_site_fract_y
_atom_site_fract_z
_atom_site_occupancy
Zr1 0.000 0.000 0.000 1
Zr2 0.000 0.000 0.504 1
Zr3 0.000 0.245 0.249 1
Zr4 0.243 0.000 0.753 1
Zr5 0.254 0.250 0.000 1
Zr6 0.500 0.000 0.502 1
Zr7 0.500 0.245 0.753 1
In1 0.251 0.000 0.253 1
In2 0.500 0.000 0.998 1
```



# KIr
Simulated X-ray powder pattern, a wavelength of 1.5418 Å. Input: the PBE geometry in Alexandria.
No peak broadening, texture or thermal motion is included.

Main lines, low angle first (15 to 90 degrees two-theta):
4.956 Å, intensity 87, (0 0 2)
3.304 Å, intensity 59, (0 0 3)
3.194 Å, intensity 26, (0 1 2)
2.591 Å, intensity 37, (0 1 3)
2.344 Å, intensity 32, (1 1 0)
2.281 Å, intensity 100, (1 1 1)
2.119 Å, intensity 97, (1 1 2)
2.089 Å, intensity 27, (0 2 0)
2.044 Å, intensity 31, (0 2 1)
1.912 Å, intensity 30, (1 1 3)

Structure:
```
data_KIr
_chemical_formula_sum 'K2 Ir2'
_symmetry_space_group_name_H-M 'P m m n'
_symmetry_Int_Tables_number 59
_cell_length_a 2.832
_cell_length_b 4.177
_cell_length_c 9.911
_cell_angle_alpha 90.00
_cell_angle_beta 90.00
_cell_angle_gamma 90.00
loop_
_symmetry_equiv_pos_as_xyz
'x,y,z'
'-x,-y,-z'
'-x+1/2,-y+1/2,z'
'x+1/2,y+1/2,-z'
'x+1/2,-y,-z'
'-x+1/2,y,z'
'-x,y+1/2,-z'
'x,-y+1/2,z'
loop_
_atom_site_label
_atom_site_fract_x
_atom_site_fract_y
_atom_site_fract_z
_atom_site_occupancy
K1 0.250 0.250 0.220 1
Ir1 0.250 0.750 0.469 1
```
=====

Effectively managing performance will lead to better outcomes from employees, and performance management tools help business leaders to achieve this. Communicating clearly with staff on their responsibilities, providing ongoing coaching opportunities, and recognising great performance can all be coordinated via a performance management system.